Friday, August 3, 2012

Mini-Reviews: Vessel, VVVVVV and Mystery Game

            So because I’m terribly, horribly bad a pacing myself, my guilt overdrive has exploded at the lack of posts and after weeks of zero/sparse content I’m going to throw two articles at you at once. I’ve been playing a lot of games lately, as you’ll no doubt be so surprised to know. Basically take that huge list of games I was playing this summer a while back. Then add 8 games from the Steam Summer sale. Then lightly sprinkle on a few old games that I decided to add to the list of those I’m revisiting. Oh, and drop in a handheld game I bought before going on vacation. Mix together lightly and put in an oven pre-heated to 375 degrees for 15 minutes. After, let cool for several minutes before glazing on a layer of honey. Sorry, what was I talking about?

Orcs Must Die 2 is apparently delicious with a pinch of nutmeg

            It just so happens that an event rarely seen has occurred with some of these games, and that’s me playing enough of them to feel fine writing about them. Since they’re all smaller games I don’t have as much to say about, however, I’m going to cram them all together into one article. Without further ado, allow me to introduce today’s appetizing buffet of games:


            I actually got this game a while back, and although I haven’t beaten it or played too much lately I think I’ve played enough to voice my opinions on it. Vessel is an indie game I found on Steam that is, to the shock of absolutely no one who plays indie games, a puzzle platformer. Don’t get me wrong though, I love me a good puzzle platformer and am fine with the indie scene proliferating the genre. The game stars an inventor named Arkwright who has created a device that animates liquid into basic constructs called Fluros, who can perform simple tasks like movement, hitting switches and more. However, the Fluros act autonomously and therefore are causing problems in various locales due to their actions leading them to self-replicate. After assembling a backpack and hose to suck and shoot liquid, Arkwright set out to fix the problems his inventions are causing.

Shorter version: You use a liquid backpack and machines made of liquid to solve puzzles.

            I like the game a fair bit, but not enough to be shouting its praises from the rooftops. The visuals are nice, clean and colorful. Though you see a bit much of indoor environs early on there is eventually a bit of variety in the level design. The sound is good too, with sound effects having an acoustic, homemade kind of sound. This fits well with the music, which is generally passive, understated and subtle. The controls are fine, though I had experienced some trouble aiming I’m almost positive that’s due to my usb controller’s faulty right stick. The story, mentioned above, isn’t really the focus but is perfectly serviceable. That just leaves us with the gameplay.

            The gameplay of Vessel is a prime example of puzzle platforming. You go from room to room and are presented with huge mechanisms that you need to unravel to progress past. As with most games of its type, there’s a great feeling of satisfaction to be found in the eureka moment when every part of a big puzzle clicks into place. However, as is also typical of these games, the rare occasion with a less than stellar puzzle may leave you feeling like you’re awkwardly cobbling together an ad hoc solution when it’s really what you’re supposed to do. The moments are pretty uncommon in Vessel, but they can lead to some frustration or confusion.

This puzzle where you run by dousing lava chaser Fluros is fairly straightforward. Some are not.

            The other potential trouble spot in this game lies in its most unique mechanic. There are Fluros of various types that do various things, and your own actions melded with their autonomous ones can lead to a fairly unique experience that often looks cool as well. However, the fact that the Fluros move on their own can make it fairly difficult to make them perform precise actions, which is sometimes necessary to proceed.

            There’s a collectible in the game you can use for nozzle upgrades to your hose, but the feature is kind of superfluous. Of course the issue is that none of them have to be necessary to gameplay given that they’re optional, but I still feel some upgrades are inconsequential even given that. Since the game is a generally slow paced puzzle platformer I can understand that it’s hard to give you upgrades that are cool without breaking the game, but the complaint stands nonetheless.

            Though this may seem like a lot of complaints, they’re all relatively minor and the game is still well designed and a good deal of fun for those who like puzzle platformers. It came out on Steam this year in March, at a full price of $15, and I’m sure the developers would love your support. How much you’ll like it may vary depending on your tastes but I can give it a mild recommendation for the price.

If nothing else, it’s kind of cool to see lots of Fluros moving around hitting switches at once


            This oddly named indie platformer was one I had heard of some time ago but only decided to pick up this Steam Summer sale. It’s a decidedly retro platformer with difficulty levels sometimes approaching that of Super Meat Boy. For those who don’t know, that’s what is technically described as the “super freaking hard” level of difficulty. Despite this, it also shares the thing Super Meat Boy had that made that difficulty level manageable, and that’s checkpoints literally almost every several seconds of play. But I’m getting ahead of myself. I’m going in-depth about the difficulty and you don’t even know what it looks like yet.

It looks like this

            You may notice that the pixelated gentleman in the picture above is standing on the ceiling. This is perfectly normal, because in VVVVVV you can flip the direction of gravity. In fact, apart from being able to move left and right this is your only ability, and is used in place of jumping. The key factor that keeps this from breaking the game is that you cannot reverse gravity when falling, only when standing on a surface. The game isn’t really a puzzle platformer because the focus is still on acrobatic feats with expert timing but there is certainly a puzzle element into initially figuring out how it’s possible to navigate some rooms.

            The visuals are decidedly old-school, and the game even opens with the Commodore 64 loading screen. As someone with no artistic talent who occasionally tries to make games, I appreciate that some finesse is certainly needed to have bad graphics that don’t actually look, well, bad. The game definitely isn’t the prettiest thing I’ve seen lately, but the graphics are old-school well still being palatable and offering some variety between the different areas of the game.

Different backgrounds and different colors! Wow!

            The game also offers a fair level of variety in its mechanics. Despite the fact that you only have one ability, the levels themselves have a fair amount of features that keep things interesting. Apart from spikes and other…things that damage you, the game also features moving platforms, disappearing platforms, lines that switch your gravity automatically, stages where exiting one side of the screen places you on the opposite side, scrolling segments, and one or two other set pieces. This may not seem like much, but for better or worse the game is very short. It’s a good thing because the game stays fresh and doesn’t overstay its welcome, and a bad thing because there’s not very much of it.

            I beat the game in a little over two hours and probably could’ve done it faster had I not explored a bit. To be fair I only discovered 60% of the collectible items and what game you get is good fun while it lasts. Exploring space is amusing and the games bag of tricks is more than enough to entertain, even if the game isn’t outright fantastic. As I said earlier the game is very hard and you’ll probably get frustrated at a point or two, especially if you aren’t great at platformers and especially if you try to get all the extra stuff. However, as I also said earlier, checkpoints are ridiculously numerous to keep things from getting too rage-inducing.

Notice those two C’s? Those are checkpoints, mere seconds apart from each other on opposite sides of a room. You’re returned to them instantaneously when you die.

            And that more or less covers all I have to say about VVVVVV except for one thing…the music. Dear god the music. VVVVVV has a retro soundtrack and I’m a sucker for those, so take what I say with a grain of salt, but VVVVVV’s soundtrack is totally the greatest thing in the universe ever. Okay not that good, but I do find it pretty damn great. Rather than continuing to flail my arms and prose about trying to describe the music, just have a couple songs.

Passion for Exploring is the song that normally plays when you’re out in space, uh, exploring, and is, in my opinion, really excellent music.

Positive Force is the tune that you hear on the final levels of the game, and it is, in my opinion, really super excellent music.

            So that’s VVVVVV. If you’re interested in challenging or retro platformers (or awesome music) then there are a couple places you can pick it up. It’s available on Steam for $5 full price, but also on the 3DS store for $8 full price. My review was of the PC version.

Dragonball Z: Budokai Tenkaichi

            Okay, hang on, don’t be like that. You stop running away from your computer this instant. Okay, now stop booing your monitor. Okay, now stop mailing me death threats while punching your computer screens with brass knuckles. In the event that you’re not doing any of that, you probably haven’t heard of the many, many Dragonball Z fighting games. Either that or you actually like them, which I’m about to explain isn’t that odd.

Some may be confused as to how super-powered flying people punching and firing lasers at each other could possibly be a bad thing. I’ll get into that.

            Dragonball Z is an extremely popular anime that you’ve probably already heard of (and if you haven’t, what planet have you been chained inside all these years?), and given that the series is known for and almost entirely revolves around its explosive fight scenes, it makes sense to make a fighting game about it. However, though the fast-paced, high octane fights show a great potential for an awesome fighting game, fights that take place at super high speeds in a matter of seconds are really hard to balance properly. The other problem is one of quality versus quantity.

            Though there were many Dragonball Z games prior to when I was around, particularly in Japan, the Budokai fighting series that I’m familiar with was first released in 2002. The next year, in 2003, they came out with Dragonball Z: Budokai 2. The next year they came out with DBZ: Budokai 3, the next year they came out with DBZ: Budokai Tenkaichi, the next year DBZ: Budokai Tenkaichi 2, the next year DBZ: Budokai Tenkaichi 3, the next year they came out with the fighting game of the same style DBZ: Burst Limit, the next year DBZ: Infinite World, the next DBZ: Raging Blast, the next DBZ: Raging Blast 2, and the next DBZ: Ultimate Tenkaichi. The only reason we stopped is because we are now up to date in terms of years.

            You can see how this can be something of a problem in terms of game development, and the one year turnaround of the games shows little new content each time, probably keeps from radical changes or methodically polished balance, and makes people who don’t play the games heap disdain on them. To be fair, I’m sure the games earn some of this and that the yearly installments change so little you probably don’t need to update that often. I know the game has some problems, like poorly balanced AI, similar move sets and a subpar camera. From what I’ve played of this entry though, it may be flawed but also has its charm.

For example, the game provides a fair amount of color and variety in both the characters you punch and where you punch them in.

            Matches take place in large 3D arenas filled with destructible scenery, where you can move in any direction, jump, or fly up and down. You can lock onto your opponent or refrain from doing so in order to better run away, which is often a perfectly viable tactic. You see in addition to a health gauge you have a Ki gauge for using Ki blasts (small energy bursts that do little damage but work well as distractions) or larger special attacks. You have a dedicated charge button that causes you to pause and do the same shout-y action power-up so often seen in the show, which fills your Ki gauge. The battles are fast paced and you can move at high speeds, so you need to use quick regular punches, Ki blasts and running away in order to charge up for higher level techniques and power ups. You can also block and perform may other more complex techniques (like various advanced hitting/blocking attacks, recovering from heavy hits, and laser duels that occur when two connect), but that’s the general flow of combat.

            There are generally three things that happen when you start up a match. The first is that a computer or opponent completely wipes the floor you before you even have a chance to react and the match ends quickly and frustratingly. The second is that one of you wins by spamming the same techniques or combination of techniques over and over again, because this game isn’t perfectly balanced and its fast pace means there are a lot of things that are really hard to counter without serious skill. The third, and most uncommon, is that it actually works. However, when it does work, the game is a blast (literally!) to watch and play.

Y’see, it’s fun because you get to punch people in the face at high speeds. Also lasers. Have I made that clear?

            You’ve just dashed out of the way of a giant laser and leap over a small mountain into the water, where you start charging an attack. Your opponent chases you out and you expertly deflect his Ki blasts and block his flurry of attacks, dodge to the side, and start your own combo. Punch punch, medium punch to break his guard, punch punch punch, heavy charged punch that sends him rocketing backwards through a now exploding mountain. You shoot up into the air to get a better vantage point, fire off a few Ki blasts to keep him busy and unleash a Death Beam to finish him off with a giant explosion!

            This is something that mostly passed me by when I was a kid, but if you actually bother to learn what you’re doing and play enough to get the hang of things occurrences like the above become fairly common, and they’re as fun as they sound. They feel like everything a Dragonball Z fight should be, and I can’t ask for much more than that. The game is a bit shallow, imperfectly balanced and I wouldn’t say it’s a classic or anything. But if you see the game lying around for cheap somewhere and don’t mind a bit of a learning curve I’d say it’s worth picking up, if only to bust some people’s heads into mountains in between giant laser duels.

Here the article breaks off for quantum chemistry results >
=====
Record 1
Computed, not measured: an isolated ion of composition C9H16N3 and charge +1 in a non-equilibrium geometry, with wB97M-V/def2-TZVPD.

Output
HOMO-LUMO gap: 9.06 eV
ΔE to the lowest compared entry with this formula, charge and spin: 6.210 eV
multiplicity: 1
net charge: +1

Last column: Mulliken charge in e.
Positions of all 28 atoms, in Å:
N (-0.00787, -2.35805, 2.22939)  -0.40
N (2.61454, -0.64842, 1.99426)  -0.16
N (1.61827, 0.51476, 0.29289)  -0.04
C (0.77646, -2.04798, 1.06254)  -0.52
C (0.31003, -0.08090, 0.57934)  -0.14
C (-0.54529, -0.20464, -0.68368)  -1.16
C (-2.81207, 2.22896, -2.56497)  -1.45
C (-1.98555, 0.94077, -2.34480)  -0.40
C (2.67519, 0.35337, 1.10152)  -0.10
C (-1.16711, 1.09288, -1.00041)  -0.61
C (1.93562, -1.87469, 2.09211)  0.08
C (0.84688, -2.15353, 3.12637)  -0.36
H (-2.63818, 0.12743, -2.13761)  0.32
H (-1.37914, 0.63481, -3.29930)  0.33
H (3.54757, 1.01721, 1.06047)  0.42
H (1.49267, 1.01238, -0.56943)  0.26
H (-1.18868, -1.02884, -0.62125)  0.56
H (-0.44846, 1.86987, -1.02785)  0.48
H (3.33393, -0.65320, 2.76245)  0.31
H (2.61859, -2.66351, 2.10391)  0.43
H (-3.54332, 2.32573, -1.87059)  0.44
H (-2.19381, 3.05050, -2.50627)  0.41
H (-1.97853, 1.39125, -0.35183)  0.28
H (0.77993, -2.47120, 4.10488)  0.44
H (-3.31959, 2.16084, -3.55994)  0.35
H (-0.14703, 0.37604, 1.42237)  0.40
H (0.18526, -0.37201, -1.56033)  0.26
H (0.61968, -2.53983, 0.16576)  0.55

Record 2
Computed, not measured: one molecule with the formula CH4NO3P in a non-equilibrium geometry, with wB97M-V/def2-TZVPD.

Output
HOMO-LUMO gap: 10.11 eV
SMILES: [H]/N=C/OP(O)O
ΔE to the lowest compared entry with this formula, charge and spin: 1.209 eV
multiplicity: 1

Last column: Mulliken charge in e.
Positions of all 10 atoms, in Å:
P (-1.55680, -0.02986, 0.54933)  0.46
O (-2.79704, 0.87690, 0.03211)  -0.39
O (-1.30171, -1.25555, -0.52682)  -0.44
O (-0.23442, 1.26021, -0.27392)  -0.45
N (0.99880, -0.03318, 1.05119)  -0.72
C (0.87043, 0.83130, 0.12528)  0.40
H (1.79428, 1.42895, -0.30897)  0.30
H (-0.42683, -1.48247, -0.26005)  0.35
H (1.94825, -0.15868, 1.40681)  0.20
H (-3.03779, 0.86499, -0.84332)  0.29

Record 3
Computed, not measured: a 11-piece molecular cluster, C22H37Cl8N7 overall in a non-equilibrium geometry, with wB97M-V/def2-TZVPD.

Output
HOMO-LUMO gap: 10.74 eV
SMILES: ClCCCl.ClCCCl.ClCCCl.ClCCCl.CC#N.CC#N.CC#N.CC#N.CC#N.CC#N.CC#N
ΔE to the lowest compared entry with this formula, charge and spin: 0.000 eV
multiplicity: 1

Last column: Mulliken charge in e.
Positions of all 74 atoms, in Å:
Cl (9.40696, -9.33748, 31.43402)  -0.20
Cl (14.65193, -10.84180, 30.49557)  -0.18
Cl (14.39381, -6.72729, 30.49683)  -0.20
Cl (12.27274, -7.49971, 28.00397)  0.05
Cl (13.27607, -3.96793, 25.90709)  -0.08
Cl (9.49771, -5.03201, 31.39872)  -0.18
Cl (15.94740, -5.76136, 25.32457)  -0.11
Cl (14.11565, -9.23183, 33.42614)  -0.20
N (17.06757, -12.97179, 28.16769)  -0.49
N (8.91251, -6.53708, 27.80826)  -0.57
N (15.60673, -1.48546, 27.60328)  -0.47
=====

Pew Pew Pew!!!

1 comment:

  1. I would just like to point out that I'm liking the new background pattern and that OMD2 goes better with a healthy dash of paprika.
